_Request_
Echo the lines further below exactly.

_Input_
-- begin --
No. 1
Here is a relaxed structure of Li3Ni4O8 from Materials Project. Energies are from r²SCAN.

Lattice parameters (Å, degrees): 5.7469 5.7469 5.0086 107.79 107.79 58.35
Closest atoms and distances in Å follow each position.
Fractional positions:
Li  0.0000  0.0000  0.0000  6 O 2.10-2.20
Li  0.0000  0.5000  0.0000  6 O 2.06-2.09
Li  0.5000  0.0000  0.0000  6 O 2.06-2.09
Ni  0.2518  0.2518  0.5081  6 O 1.86-1.91
Ni  0.2517  0.7483  0.5000  6 O 1.93-2.08
Ni  0.7483  0.2517  0.5000  6 O 1.93-2.08
Ni  0.7482  0.7482  0.4919  6 O 1.86-1.91
O  0.0997  0.6181  0.7199  3 Ni 1.86-2.08, 1 Li 2.06
O  0.1260  0.1260  0.7180  3 Ni 1.91-1.95, 2 Li 2.07
O  0.3711  0.3711  0.2961  3 Ni 1.86-1.93
O  0.3819  0.9003  0.2801  3 Ni 1.86-2.08, 1 Li 2.06
O  0.6181  0.0997  0.7199  3 Ni 1.86-2.08, 1 Li 2.06
O  0.6289  0.6289  0.7039  3 Ni 1.86-1.93
O  0.8740  0.8740  0.2820  3 Ni 1.91-1.95, 2 Li 2.07
O  0.9003  0.3819  0.2801  3 Ni 1.86-2.08, 1 Li 2.06

Output
Energy above the lowest structure with this stoichiometry   4 meV per atom
Crystal system   monoclinic
E_form   -1.465 eV/atom



No. 2
Here is a relaxed structure of LiNi3O4 from Materials Project. Energies are from r²SCAN.

Lattice parameters (Å, degrees): 5.7926 5.8038 5.8066 90.05 119.79 119.75
Closest atoms and distances in Å follow each position.
Fractional positions:
Li  0.0000  0.0000  0.0000  6 O 2.02-2.20
Li  0.5000  0.0000  0.0000  6 O 2.02-2.20
Ni  0.0000  0.0000  0.5000  6 O 2.05-2.07
Ni  0.0000  0.5000  0.0000  6 O 2.05-2.06
Ni  0.0000  0.5000  0.5000  6 O 1.91-2.09
Ni  0.5000  0.0000  0.5000  6 O 2.06-2.07
Ni  0.5000  0.5000  0.0000  6 O 2.06
Ni  0.5000  0.5000  0.5000  6 O 1.90-2.11
O  0.9996  0.2453  0.7546  1 Li 2.02, 5 Ni 2.05-2.09
O  0.0004  0.7547  0.2454  1 Li 2.02, 5 Ni 2.05-2.09
O  0.0116  0.7386  0.7373  4 Ni 1.91-2.11, 1 Li 2.02
O  0.4676  0.7171  0.7183  4 Ni 1.92-2.07
O  0.4988  0.7309  0.2677  5 Ni 1.90-2.07
O  0.5012  0.2691  0.7323  5 Ni 1.90-2.07
O  0.5324  0.2829  0.2817  4 Ni 1.92-2.07
O  0.9884  0.2614  0.2627  4 Ni 1.91-2.11, 1 Li 2.02

Output
Energy above the lowest structure with this stoichiometry   0 meV per atom
Crystal system   triclinic
E_form   -1.388 eV/atom



No. 3
Here is a relaxed structure of Li2Ni5O7 from Materials Project. Energies are from r²SCAN.

Lattice parameters (Å, degrees): 5.0055 5.0055 6.4845 97.68 97.68 47.83
Closest atoms and distances in Å follow each position.
Fractional positions:
Li  0.0683  0.0683  0.2137  6 O 2.03-2.14
Li  0.9317  0.9317  0.7863  6 O 2.03-2.14
Ni  0.2155  0.2155  0.6440  6 O 1.98-2.06
Ni  0.3605  0.3605  0.0695  6 O 1.98-2.07
Ni  0.5000  0.5000  0.5000  6 O 1.97-2.05
Ni  0.6395  0.6395  0.9305  6 O 1.98-2.07
Ni  0.7845  0.7845  0.3560  6 O 1.98-2.06
O  0.0000  0.0000  0.5000  4 Ni 2.03-2.06, 2 Li 2.04
O  0.1549  0.1549  0.9251  4 Ni 1.98-2.03, 2 Li 2.11-2.14
O  0.2931  0.2931  0.3612  5 Ni 1.97-2.07, 1 Li 2.14
O  0.4298  0.4298  0.7861  4 Ni 2.01-2.05, 2 Li 2.03
O  0.5702  0.5702  0.2139  4 Ni 2.01-2.05, 2 Li 2.03
O  0.7069  0.7069  0.6388  5 Ni 1.97-2.07, 1 Li 2.14
O  0.8451  0.8451  0.0749  4 Ni 1.98-2.03, 2 Li 2.11-2.14

Output
Crystal system   monoclinic
E_form   -1.377 eV/atom



No. 4
Here is a relaxed structure of LiNi6O7 from Materials Project. Energies are from r²SCAN.

Lattice parameters (Å, degrees): 5.0461 5.8237 8.7796 89.96 84.43 73.27
Closest atoms and distances in Å follow each position.
Fractional positions:
Li  0.1408  0.2139  0.2206  6 O 2.05-2.17
Li  0.8592  0.7861  0.7794  6 O 2.05-2.17
Ni  0.0000  0.0000  0.5000  6 O 2.04-2.07
Ni  0.0000  0.5000  0.5000  6 O 2.04-2.06
Ni  0.1443  0.7145  0.2159  6 O 2.04-2.10
Ni  0.2792  0.4304  0.9302  6 O 2.00-2.10
Ni  0.2858  0.9282  0.9283  6 O 2.02-2.09
Ni  0.4248  0.6461  0.6454  6 O 2.05-2.08
Ni  0.4296  0.1407  0.6439  6 O 2.04-2.08
Ni  0.5704  0.8593  0.3561  6 O 2.04-2.08
Ni  0.5752  0.3539  0.3546  6 O 2.05-2.08
Ni  0.7142  0.0718  0.0717  6 O 2.02-2.09
Ni  0.7208  0.5696  0.0698  6 O 2.00-2.10
Ni  0.8557  0.2855  0.7841  6 O 2.04-2.10
-- stop --

_Written answer_
No. 1
Here is a relaxed structure of Li3Ni4O8 from Materials Project. Energies are from r²SCAN.

Lattice parameters (Å, degrees): 5.7469 5.7469 5.0086 107.79 107.79 58.35
Closest atoms and distances in Å follow each position.
Fractional positions:
Li  0.0000  0.0000  0.0000  6 O 2.10-2.20
Li  0.0000  0.5000  0.0000  6 O 2.06-2.09
Li  0.5000  0.0000  0.0000  6 O 2.06-2.09
Ni  0.2518  0.2518  0.5081  6 O 1.86-1.91
Ni  0.2517  0.7483  0.5000  6 O 1.93-2.08
Ni  0.7483  0.2517  0.5000  6 O 1.93-2.08
Ni  0.7482  0.7482  0.4919  6 O 1.86-1.91
O  0.0997  0.6181  0.7199  3 Ni 1.86-2.08, 1 Li 2.06
O  0.1260  0.1260  0.7180  3 Ni 1.91-1.95, 2 Li 2.07
O  0.3711  0.3711  0.2961  3 Ni 1.86-1.93
O  0.3819  0.9003  0.2801  3 Ni 1.86-2.08, 1 Li 2.06
O  0.6181  0.0997  0.7199  3 Ni 1.86-2.08, 1 Li 2.06
O  0.6289  0.6289  0.7039  3 Ni 1.86-1.93
O  0.8740  0.8740  0.2820  3 Ni 1.91-1.95, 2 Li 2.07
O  0.9003  0.3819  0.2801  3 Ni 1.86-2.08, 1 Li 2.06

Output
Energy above the lowest structure with this stoichiometry   4 meV per atom
Crystal system   monoclinic
E_form   -1.465 eV/atom



No. 2
Here is a relaxed structure of LiNi3O4 from Materials Project. Energies are from r²SCAN.

Lattice parameters (Å, degrees): 5.7926 5.8038 5.8066 90.05 119.79 119.75
Closest atoms and distances in Å follow each position.
Fractional positions:
Li  0.0000  0.0000  0.0000  6 O 2.02-2.20
Li  0.5000  0.0000  0.0000  6 O 2.02-2.20
Ni  0.0000  0.0000  0.5000  6 O 2.05-2.07
Ni  0.0000  0.5000  0.0000  6 O 2.05-2.06
Ni  0.0000  0.5000  0.5000  6 O 1.91-2.09
Ni  0.5000  0.0000  0.5000  6 O 2.06-2.07
Ni  0.5000  0.5000  0.0000  6 O 2.06
Ni  0.5000  0.5000  0.5000  6 O 1.90-2.11
O  0.9996  0.2453  0.7546  1 Li 2.02, 5 Ni 2.05-2.09
O  0.0004  0.7547  0.2454  1 Li 2.02, 5 Ni 2.05-2.09
O  0.0116  0.7386  0.7373  4 Ni 1.91-2.11, 1 Li 2.02
O  0.4676  0.7171  0.7183  4 Ni 1.92-2.07
O  0.4988  0.7309  0.2677  5 Ni 1.90-2.07
O  0.5012  0.2691  0.7323  5 Ni 1.90-2.07
O  0.5324  0.2829  0.2817  4 Ni 1.92-2.07
O  0.9884  0.2614  0.2627  4 Ni 1.91-2.11, 1 Li 2.02

Output
Energy above the lowest structure with this stoichiometry   0 meV per atom
Crystal system   triclinic
E_form   -1.388 eV/atom



No. 3
Here is a relaxed structure of Li2Ni5O7 from Materials Project. Energies are from r²SCAN.

Lattice parameters (Å, degrees): 5.0055 5.0055 6.4845 97.68 97.68 47.83
Closest atoms and distances in Å follow each position.
Fractional positions:
Li  0.0683  0.0683  0.2137  6 O 2.03-2.14
Li  0.9317  0.9317  0.7863  6 O 2.03-2.14
Ni  0.2155  0.2155  0.6440  6 O 1.98-2.06
Ni  0.3605  0.3605  0.0695  6 O 1.98-2.07
Ni  0.5000  0.5000  0.5000  6 O 1.97-2.05
Ni  0.6395  0.6395  0.9305  6 O 1.98-2.07
Ni  0.7845  0.7845  0.3560  6 O 1.98-2.06
O  0.0000  0.0000  0.5000  4 Ni 2.03-2.06, 2 Li 2.04
O  0.1549  0.1549  0.9251  4 Ni 1.98-2.03, 2 Li 2.11-2.14
O  0.2931  0.2931  0.3612  5 Ni 1.97-2.07, 1 Li 2.14
O  0.4298  0.4298  0.7861  4 Ni 2.01-2.05, 2 Li 2.03
O  0.5702  0.5702  0.2139  4 Ni 2.01-2.05, 2 Li 2.03
O  0.7069  0.7069  0.6388  5 Ni 1.97-2.07, 1 Li 2.14
O  0.8451  0.8451  0.0749  4 Ni 1.98-2.03, 2 Li 2.11-2.14

Output
Crystal system   monoclinic
E_form   -1.377 eV/atom



No. 4
Here is a relaxed structure of LiNi6O7 from Materials Project. Energies are from r²SCAN.

Lattice parameters (Å, degrees): 5.0461 5.8237 8.7796 89.96 84.43 73.27
Closest atoms and distances in Å follow each position.
Fractional positions:
Li  0.1408  0.2139  0.2206  6 O 2.05-2.17
Li  0.8592  0.7861  0.7794  6 O 2.05-2.17
Ni  0.0000  0.0000  0.5000  6 O 2.04-2.07
Ni  0.0000  0.5000  0.5000  6 O 2.04-2.06
Ni  0.1443  0.7145  0.2159  6 O 2.04-2.10
Ni  0.2792  0.4304  0.9302  6 O 2.00-2.10
Ni  0.2858  0.9282  0.9283  6 O 2.02-2.09
Ni  0.4248  0.6461  0.6454  6 O 2.05-2.08
Ni  0.4296  0.1407  0.6439  6 O 2.04-2.08
Ni  0.5704  0.8593  0.3561  6 O 2.04-2.08
Ni  0.5752  0.3539  0.3546  6 O 2.05-2.08
Ni  0.7142  0.0718  0.0717  6 O 2.02-2.09
Ni  0.7208  0.5696  0.0698  6 O 2.00-2.10
Ni  0.8557  0.2855  0.7841  6 O 2.04-2.10